Are you comfortable writing for a specific audience, such as an academic or medical audience, and a little nervous branching out to write for a more general public or just a different type of reader than you are used to? If so, know that you are not alone.
In fact, as I prepare for next week’s course on Healthcare Leadership and Publishing through Harvard Medical School, I’ve been jotting notes and feedback on some of the submissions from doctors, therapists and other healthcare professionals who will be in my writing workshops–and a common theme has emerged. In a nutshell, these writers need to play to their transferrable strengths, such as reasoning, ability to articiulate complex ideas, and–in many cases–keen obervational skills, while learning to write in a more conversational and accessible style for the public.
### Data records, kept here for reference
/*
# 1
C12H22F6N2O3S2SbTi | ωB97M-V/def2-TZVPD

The geometry in XYZ format:
```
49
Properties=species:S:1:pos:R:3:forces:R:3
Ti -1.18416 0.36457 -0.14449 0.29 0.25 -2.30
C 0.51462 -2.56782 3.96931 0.06 0.17 0.09
N -0.26394 -1.71379 3.07702 -0.13 -0.65 -0.39
C -1.71173 -1.77593 3.28464 -0.02 0.05 0.03
C 0.18330 -1.38342 1.86900 -0.04 0.58 0.28
O -0.62780 -1.06854 0.97387 0.27 -0.70 1.06
C 1.68258 -1.26839 1.62864 -0.04 0.06 0.08
O 1.95730 -0.40297 0.57382 0.19 -0.02 0.02
C 2.40930 0.89361 0.79680 -0.09 -0.03 0.05
C 1.26395 1.89216 0.91456 0.01 0.13 0.06
O 0.08853 1.48929 1.04549 0.35 -0.09 0.16
N 1.55156 3.18348 0.90633 -0.01 -0.07 -0.13
C 0.48496 4.18382 0.91364 -0.02 -0.01 0.00
C 2.92022 3.66212 0.74118 0.01 -0.02 0.03
H 0.23144 -2.35311 4.99746 0.01 0.00 0.00
H 1.57965 -2.39175 3.85887 0.00 -0.02 0.00
H 0.30518 -3.61665 3.75135 0.01 0.00 0.03
H -1.90343 -1.62813 4.34534 -0.01 -0.01 0.00
H -2.10105 -2.74776 2.97587 -0.01 0.01 -0.01
H -2.20084 -0.99367 2.71235 0.00 -0.01 0.02
H 2.05496 -2.25472 1.33689 -0.01 -0.01 0.07
H 2.17050 -0.95321 2.55644 0.04 0.02 -0.02
H 3.00718 1.14762 -0.08098 0.03 0.03 0.03
H 3.05244 0.97783 1.68366 -0.02 -0.02 0.00
H -0.47699 3.68589 0.87041 0.01 0.01 0.01
H 0.59281 4.82220 0.03787 -0.01 0.00 0.00
H 0.55291 4.78834 1.81837 0.00 0.01 -0.01
H 3.33358 3.35157 -0.21882 0.00 0.02 0.00
H 3.56476 3.30832 1.54593 0.01 -0.01 -0.01
H 2.90400 4.74731 0.77173 0.01 0.00 0.01
C -0.68061 -3.84434 -3.24608 0.00 -0.02 -0.02
C -0.03471 -2.65969 -2.59341 0.09 0.02 -0.10
S 0.87611 -2.82868 -1.10520 0.04 -0.23 -0.16
C -0.05046 -1.41130 -3.07476 -0.06 -0.16 -0.03
C -0.68122 -0.95500 -4.35416 -0.05 0.00 0.04
S 0.78988 -0.31585 -1.99445 -0.23 0.16 0.53
H -0.66186 -4.70995 -2.58547 -0.01 0.00 0.00
H -0.15898 -4.11606 -4.16828 0.00 0.00 0.01
H -1.71949 -3.62898 -3.50564 -0.01 0.00 -0.01
H -0.41619 -1.61944 -5.18064 -0.01 0.00 0.00
H -0.35953 0.05418 -4.60484 0.02 0.01 -0.02
H -1.77045 -0.92929 -4.27565 -0.02 0.01 0.00
F -2.15834 -0.64547 -1.22337 -0.14 0.07 0.30
Sb -3.75104 1.95354 -2.15716 -0.02 0.31 -0.35
F -5.42148 2.40827 -2.97990 0.14 -0.06 0.08
F -2.98308 1.42349 -3.80903 -0.06 0.02 0.11
F -3.11476 3.74533 -2.30431 -0.08 -0.14 0.07
F -1.09658 1.79932 -1.25041 -0.50 0.30 0.26
F -2.54299 0.90163 0.90019 -0.02 0.05 0.16
```
Forces are in eV/Å.

Results
gap between HOMO and LUMO (alpha / beta)	0.215 / 0.213	Eh
spin multiplicity	2
relative energy (zero: lowest compared OMol25 entry of this formula, charge and spin)	8.4	kcal per mole
total energy	-3291.210257	hartree
highest occupied orbital energy (alpha / beta)	-6.325 / -6.267	eV

Atomic partial charges in e from the Mulliken method, atoms 1 to 8:
1 Ti 1.367
2 C -0.989
3 N 0.138
4 C -0.971
5 C 1.032
6 O -0.289
7 C -1.476
8 O -0.106

# 2
C16H16BMnN6O4S | ωB97M-V/def2-TZVPD

The geometry in XYZ format:
```
45
Properties=species:S:1:pos:R:3:forces:R:3
Mn -0.20634 -0.90451 -0.12621 -0.30 -0.17 0.15
C -2.45201 2.90796 -0.45883 -0.04 0.06 0.04
C -1.48008 1.78005 -0.53679 0.11 0.06 -0.24
*/
If you’re used to writing for an academic audience and want to expand to writing blog posts or a book, you’ll need to:

Play up the Stories: It’s true that you need to adhere to HIPAA standards and be careful of divulging patient information. However, you can weave together several patients and their stories and make them into a composite. Stories make the medical information come to life for your readers and draw them in to read more. Many medical professionals have keen observational skills. Use them to bring these stories to life.
Show; Don’t Tell: In an academic setting you may use statistics or studies to paint a picture; you can do that for a broader audience, as well. Just be sure to keep it accessible and understandable. In addition, you can employ all the senses (not all at once, though) in your writing to bring it to life.
Use Dialogue: Several of the writing samples I read last night did an excellent job of using dialogue to immerse the reader in a scene. In most cases, adding a few subtle actions will break up the dialogue and make the scene even more real. One of my pet peeves? Read your dialogue aloud and make sure it sounds exactly like something that person would say. Use contractions 99% of the time, since that’s how people truly speak. Only put quotations in quotation marks. If you’re summarizing someone’s points, that should not be in quotation marks.

Avoid Jargon; Be Conversational: When you’re immersed in a culture or environment, sometimes it’s hard to even realize which terms will sound foreign to someone from outside of that environement. You may find a beta reader or two who is not in your field who can tell you which terms are unclear. In general, write in plain language that an eighth grader can understand. One trick is to pretend you are writing/talking to a patient unfamiliar with medical terms and medicine. What would you say to them? Write that way. You may even find it helpful to picture a specific person.
Keep Your Audience in Mind: Identify your core readers and keep them in mind as you write. What metaphors would resonate for them? What stories or examples can they relate to? What are their dreams, desires, fears or problems as they relate to material in your book? Be sure to address concerns of fears they may have that would keep them from benefiting from your information. Think about things that would help them to integrate or apply the information to their lives. Would exercises help? Questions for reflection? As in the previous point, imagining a specific reader and writing to that person can help make the material resonate better for your readers.
Have you been working on shifting from a more academic or business tone to writing for the public, or what we in publishing call a “trade audience”? Do you have any tips or challenges to share? I’d love to get your comments below!
Sorry — your link above doesn’t work to report a typo. Dialogue … in “Use Dialogue.”
YOu’re right and I can’t seem to get the image to link. I fixed the error (THANKS) and here is a link to report errors: